-- Request --
Find the line further below that holds "(2)", then return that line and all lines after it there, please.

-- Listing --
........
The following is a quantum chemistry calculation of a single H3NOSSi molecule in a non-equilibrium geometry, from OMol25.

```
7
Properties=species:S:1:pos:R:3:forces:R:3:lowdin_charge:R:1
N 0.586933 -0.169256 0.135195 2.97 -0.49 0.28 -0.534
O 3.068502 -0.380923 0.205857 1.47 -1.03 0.46 -0.473
Si -1.074869 -0.060943 -0.034805 -0.02 2.91 2.14 0.468
S 1.944321 0.399732 -0.148223 -2.78 0.57 -0.18 0.813
H -1.726601 -1.146999 -0.503341 -1.17 -2.61 -0.97 -0.125
H -1.125762 1.004179 -0.973735 -0.84 0.96 -0.87 -0.093
H -1.672527 0.354208 1.319049 0.38 -0.30 -0.86 -0.055
```
Forces are in eV/Å.

Its energy relative to the best compared isomer or geometry (same formula, charge and spin) is 5.4 kcal per mole. As for the total energy: -22297.7901 eV. As for the HOMO energy: -10.362 eV. The value obtained for the max |F| is 3.61 eV/A.

~~~~~

C9H10N3OS | ωB97M-V/def2-TZVPD

Positions of all 24 atoms, in Å:
N 2.73848 -1.58218 1.19619
C 1.95155 -0.83541 0.43580
N 1.11791 0.18173 0.70272
C 0.14837 0.40063 -0.38980
C -0.17654 1.80413 -0.77820
C -1.37614 2.42413 -0.12156
C -2.34612 1.60309 0.24238
C -2.23502 0.24618 0.05889
S -3.53334 -0.88035 0.22622
C -2.61394 -2.22118 -0.16163
C -1.27842 -1.85223 -0.26927
C -1.06271 -0.45384 -0.13845
N 0.98770 -0.33431 -1.62199
O 1.91710 -1.17716 -0.87485
H 2.71810 -1.26920 2.21147
H 3.42346 -2.14015 0.81026
H 1.18578 0.87601 1.45010
H -0.56088 1.60438 -1.73670
H 0.75529 2.41840 -0.89543
H -1.59662 3.43741 -0.26792
H -3.21671 2.10112 0.67485
H -2.98103 -3.18899 0.00619
H -0.51184 -2.62126 -0.32774
H 0.39942 -0.90388 -2.18897

The value obtained for the energy above the lowest of the compared OMol25 structures with the same formula, charge and spin is 53.3 kcal/mol. Its total charge is +1. Its HOMO energy is -11.63 eV.

~~~~~

(1)
The following is a DFT calculation (ωB97M-V/def2-TZVPD) of a 2-piece molecular cluster, C5H16NO overall.

Atoms and positions in Å:
C: -1.681 0.185 -0.798
C: -0.578 -0.727 -1.106
C: 0.897 -0.618 -0.453
C: 0.854 -0.619 1.112
C: 1.623 -1.857 -1.148
N: -1.303 1.547 -0.226
H: -2.106 -0.277 0.125
H: -2.405 0.428 -1.570
H: -0.188 -0.495 -2.121
H: -0.962 -1.769 -1.120
H: 1.364 0.351 -0.579
H: 0.743 -1.586 1.528
H: -0.203 -0.261 1.365
H: 1.727 -0.163 1.654
H: 2.287 -1.419 -1.758
H: 2.319 -2.109 -0.414
H: 1.020 -2.643 -1.506
H: -2.195 1.717 0.375
H: -0.429 1.337 0.399
H: -1.119 2.305 -0.849
H: 0.070 2.904 2.198
H: 0.268 1.740 2.843
O: -0.003 2.032 2.050

Values from the calculation:
Net charge: +1
Maximum force (eV/Å): 5.49
Lowest unoccupied orbital energy (eV): -3.3
Kohn-Sham gap (eV): 11.25

=====

(2)
The following is a DFT calculation (ωB97M-V/def2-TZVPD) of F8LiN4O16S8 as an isolated structure.

Atoms and positions in Å:
Li: -13.218 9.512 9.739
N: -12.261 10.097 8.240
S: -11.114 11.192 8.118
O: -11.251 12.243 7.145
O: -9.785 10.769 8.445
F: -11.542 12.008 9.438
S: -12.481 9.862 6.599
O: -11.298 9.578 5.792
O: -13.508 10.663 5.982
F: -13.112 8.386 6.699
N: -16.663 11.451 9.263
S: -15.707 11.593 8.038
O: -14.560 12.461 8.226
O: -16.399 11.561 6.773
F: -15.103 10.076 8.201
S: -17.097 13.058 9.386
O: -17.409 13.846 8.223
O: -16.486 13.751 10.493
F: -18.510 12.748 10.118
N: -14.230 9.826 11.411
S: -13.759 11.007 12.361
O: -12.415 10.968 12.847
O: -14.780 11.451 13.248
F: -13.738 12.154 11.281
S: -14.168 8.635 12.632
O: -15.098 8.638 13.736
O: -12.842 8.179 12.962
F: -14.585 7.406 11.717
N: -10.198 6.011 10.299
S: -11.064 6.996 9.402
O: -11.975 7.864 10.126
O: -11.569 6.496 8.175
F: -9.930 8.007 8.984
S: -11.446 4.967 10.700
O: -11.985 4.133 9.656
O: -12.206 5.434 11.815
F: -10.448 3.901 11.413

Values from the calculation:
Net charge: -3
Maximum force (eV/Å): 5.16
Lowest unoccupied orbital energy (eV): 6.3
Kohn-Sham gap (eV): 8.68

=====

(3)
The following is a DFT calculation (ωB97M-V/def2-TZVPD) of a 9-piece molecular cluster, C40H107N9O11 overall.

Atoms and positions in Å:
C: 4.400 5.717 5.305
O: 4.170 7.055 4.773
C: 5.379 7.858 4.607
C: 5.112 9.255 4.095
C: 4.370 9.390 2.769
........

-- Response --
(2)
The following is a DFT calculation (ωB97M-V/def2-TZVPD) of F8LiN4O16S8 as an isolated structure.

Atoms and positions in Å:
Li: -13.218 9.512 9.739
N: -12.261 10.097 8.240
S: -11.114 11.192 8.118
O: -11.251 12.243 7.145
O: -9.785 10.769 8.445
F: -11.542 12.008 9.438
S: -12.481 9.862 6.599
O: -11.298 9.578 5.792
O: -13.508 10.663 5.982
F: -13.112 8.386 6.699
N: -16.663 11.451 9.263
S: -15.707 11.593 8.038
O: -14.560 12.461 8.226
O: -16.399 11.561 6.773
F: -15.103 10.076 8.201
S: -17.097 13.058 9.386
O: -17.409 13.846 8.223
O: -16.486 13.751 10.493
F: -18.510 12.748 10.118
N: -14.230 9.826 11.411
S: -13.759 11.007 12.361
O: -12.415 10.968 12.847
O: -14.780 11.451 13.248
F: -13.738 12.154 11.281
S: -14.168 8.635 12.632
O: -15.098 8.638 13.736
O: -12.842 8.179 12.962
F: -14.585 7.406 11.717
N: -10.198 6.011 10.299
S: -11.064 6.996 9.402
O: -11.975 7.864 10.126
O: -11.569 6.496 8.175
F: -9.930 8.007 8.984
S: -11.446 4.967 10.700
O: -11.985 4.133 9.656
O: -12.206 5.434 11.815
F: -10.448 3.901 11.413

Values from the calculation:
Net charge: -3
Maximum force (eV/Å): 5.16
Lowest unoccupied orbital energy (eV): 6.3
Kohn-Sham gap (eV): 8.68

=====

(3)
The following is a DFT calculation (ωB97M-V/def2-TZVPD) of a 9-piece molecular cluster, C40H107N9O11 overall.

Atoms and positions in Å:
C: 4.400 5.717 5.305
O: 4.170 7.055 4.773
C: 5.379 7.858 4.607
C: 5.112 9.255 4.095
C: 4.370 9.390 2.769